• Welcome to Jetboaters.net!

[The piece is interrupted by calculated crystals]
-- begin --
(1)
LiHo2Hg2: simulated X-ray powder pattern (Cu Kα (weighted mean of Kα1 and Kα2)), based on DFT lattice parameters and positions (PBE).
Kinematic intensities with the Lorentz-polarization factor, no thermal factor.

Crystal structure
```
LiHo2Hg2
1.0
-3.6536 6.1023 2.8701
3.6536 -6.1023 2.8701
3.6536 6.1023 -2.8701
Li Ho Hg
2 4 4
direct
0.2500 0.2500 0.0000
0.7500 0.7500 0.0000
0.1775 0.6757 0.8532
0.3225 0.1757 0.4981
0.6775 0.8243 0.5019
0.8225 0.3243 0.1468
0.0804 0.2881 0.3685
0.4196 0.7881 0.2077
0.5804 0.2119 0.7923
0.9196 0.7119 0.6315
```

Peak list (6 most intense, 10 to 90 degrees two-theta, low angle first)
14.13 deg, 6.269 Å, rel. 22.6
24.36 deg, 3.654 Å, rel. 48.1
31.16 deg, 2.870 Å, rel. 45.8
35.51 deg, 2.528 Å, rel. 100.0
39.94 deg, 2.257 Å, rel. 28.0
58.31 deg, 1.583 Å, rel. 24.3

=====

(2)
La4Sm4Al: simulated X-ray powder pattern (Cu Kα (weighted mean of Kα1 and Kα2)), based on DFT lattice parameters and positions (PBE).
Kinematic intensities with the Lorentz-polarization factor, no thermal factor.

Crystal structure
```
La4Sm4Al
1.0
-3.2090 4.2935 5.6670
3.2090 -4.2935 5.6670
3.2090 4.2935 -5.6670
La Sm Al
4 4 1
direct
0.0000 0.0000 0.0000
0.3333 0.5000 0.8333
0.5000 0.0000 0.5000
0.6667 0.5000 0.1667
0.1038 0.9621 0.5823
0.3798 0.5214 0.4177
0.6202 0.0379 0.1417
0.8962 0.4786 0.8583
0.0000 0.5000 0.5000
```

Peak list (6 most intense, 10 to 90 degrees two-theta, low angle first)
26.18 deg, 3.404 Å, rel. 100.0
31.58 deg, 2.834 Å, rel. 43.0
32.05 deg, 2.792 Å, rel. 78.3
34.57 deg, 2.594 Å, rel. 47.5
45.20 deg, 2.006 Å, rel. 21.4
47.52 deg, 1.913 Å, rel. 19.1

=====

(3)
K3NaTh2O6: simulated X-ray powder pattern (Cu Kα (weighted mean of Kα1 and Kα2)), based on DFT lattice parameters and positions (PBE).
Kinematic intensities with the Lorentz-polarization factor, no thermal factor.

Crystal structure
```
K3NaTh2O6
1.0
3.1674 -5.4904 0.0000
3.1674 5.4904 0.0000
-2.1211 0.0000 12.5992
K Na Th O
6 2 4 12
direct
0.0000 0.5000 0.5000
0.1564 0.3128 0.9998
0.3128 0.1564 0.4998
0.5000 0.0000 0.0000
0.6872 0.8436 0.5002
0.8436 0.6872 0.0002
0.0842 0.9158 0.7500
0.9158 0.0842 0.2500
0.2499 0.7501 0.2500
0.4174 0.5826 0.7500
0.5826 0.4174 0.2500
0.7501 0.2499 0.7500
0.0513 0.2523 0.6529
0.1164 0.5782 0.8470
0.2523 0.0513 0.1529
0.3195 0.4872 0.3474
0.4218 0.8836 0.6530
0.4872 0.3195 0.8474
0.5128 0.6805 0.1526
0.5782 0.1164 0.3470
0.6805 0.5128 0.6526
0.7477 0.9487 0.8471
0.8836 0.4218 0.1530
0.9487 0.7477 0.3471
```

Peak list (6 most intense, 10 to 90 degrees two-theta, low angle first)
14.06 deg, 6.300 Å, rel. 83.6
28.56 deg, 3.125 Å, rel. 37.8
29.74 deg, 3.004 Å, rel. 75.9
34.07 deg, 2.632 Å, rel. 100.0
48.04 deg, 1.894 Å, rel. 33.6
49.85 deg, 1.829 Å, rel. 32.2

=====

(4)
Na2Sr4Tl: simulated X-ray powder pattern (Cu Kα (weighted mean of Kα1 and Kα2)), based on DFT lattice parameters and positions (PBE).
Kinematic intensities with the Lorentz-polarization factor, no thermal factor.

Crystal structure
```
Na2Sr4Tl
1.0
-- stop --
[End of the calculated crystals]

    We are delighted you have found your way to the best Jet Boaters Forum on the internet! Please consider Signing Up so that you can enjoy all the features and offers on the forum. We have members with boats from all the major manufacturers including Yamaha, Seadoo, Scarab and Chaparral. We don't email you SPAM, and the site is totally non-commercial. So what's to lose? IT IS FREE!

    Membership allows you to ask questions (no matter how mundane), meet up with other jet boaters, see full images (not just thumbnails), browse the member map and qualifies you for members only discounts offered by vendors who run specials for our members only! (It also gets rid of this banner!)

    free hit counter

Our Operating Costs and Revenue Transparency

I feel like I was a major solicitor of donations on other board and I would be glad to do that again because I have saved thousands of dollars because of the people here but we (the board, please let me speak for the administrators, I am but a member at large) don't want or need any financial donations although the offer is graciously appreciated. The time administrating this board because it is a newer model is only about 1/2 hour per day for moderators.

Your contribution is to participate, help others with their problems and post your expereinces. That will make this place even better than it is now. Now get that avitar and location updated so we know where you are.

If you happen to see Bruce, Julian, Murf or Mel at a gathering or on the lake I'm sure they would be glad to have one on you!
I'm good with the donation button also. Ya'll's time is worth something!
Thanks to all Staff who made this board. This software is light years ahead of PHPBB. I love it!
If contributions are needed, Ill gladly help
Thank you Julian/Murf/Mel/Bruce for all your dedication to helping the Yamaha boaters. Happy to donate and glad I found you.
This is a hypothetical question.

There are several members here that are putting a lot of time and money into this forum. To them I say thanks.
What does this site do in 5 or so years down the road when it has 10,000+ members and is turning a "profit"?
Who will own the content?
@Mud Skipper, the site is owned and operated by a committee. There are no plans to monetize the site. The profit is the knowledge and enjoyment that we all gain by participating.
Well stated Bruce....:thumbsup:
Barbie & I are "In for the Win" whenever you so decide !
This would be Cheap @ Twice ANY PRICE !

Materials data that have nothing to do with the piece
~~~
Theoretical X-ray powder pattern of YH9C5N2O8 for Cu Kα (λ = 1.5418 Å), from a cell relaxed with PBE.

Structure:
Cell: 11.348 7.336 6.664 Å, 90.00 108.15 90.00°
Space group C2 (No. 5)
Symmetry-distinct sites (fractional):
Y (0.000, 0.000, 0.000) (multiplicity 2)
H (0.000, 0.916, 0.500) (multiplicity 2)
H (0.011, 0.546, 0.182) (multiplicity 4)
H (0.128, 0.393, 0.464) (multiplicity 4)
H (0.188, 0.344, 0.875) (multiplicity 4)
H (0.221, 0.584, 0.580) (multiplicity 4)
C (0.000, 0.066, 0.500) (multiplicity 2)
C (0.088, 0.623, 0.293) (multiplicity 4)
C (0.237, 0.290, 0.035) (multiplicity 4)
N (0.152, 0.526, 0.458) (multiplicity 4)
O (0.004, 0.147, 0.333) (multiplicity 4)
O (0.109, 0.787, 0.262) (multiplicity 4)
O (0.152, 0.836, 0.877) (multiplicity 4)
O (0.174, 0.185, 0.117) (multiplicity 4)

Main lines, sorted by position (2θ from 5° to 70°):
index	two_theta	I (rel.)
0 0 1	13.99	40.0
1 1 0	14.60	100.0
2 0 0	16.44	25.4
1 1 -1	18.40	38.9
1 1 1	22.00	40.5
3 1 0	27.64	29.6
1 1 -2	29.45	52.0
2 2 1	34.97	25.5

* * * * *

# 1
The following is a simulated powder diffraction line list of Cs6Rb9Li. It was derived from a GGA-PBE-relaxed structure, using Cu Kα (weighted mean of Kα1 and Kα2).
No peak broadening, texture or thermal motion is included.

```
data_Cs6Rb9Li
_chemical_formula_sum 'Cs12 Rb18 Li2'
_symmetry_space_group_name_H-M 'I 4/m'
_symmetry_Int_Tables_number 87
_symmetry_space_group_name_Hall '-I 4'
_cell_length_a 11.9322
_cell_length_b 11.9322
_cell_length_c 21.7826
_cell_angle_alpha 90.00
_cell_angle_beta 90.00
_cell_angle_gamma 90.00
loop_
_atom_site_label
_atom_site_fract_x
_atom_site_fract_y
_atom_site_fract_z
Cs1 0.0000 0.0000 0.1826
Cs2 0.1180 0.6855 0.0000
Rb1 0.0000 0.0000 0.5000
Rb2 0.1033 0.6949 0.3305
Li1 0.0000 0.0000 0.0000
```

Principal peaks in the range 2θ = 5–70°, by angle:
| d/Å | 2θ (°) | Rel. int. |
| --- | --- | --- |
| 4.300 | 20.7 | 100 |
| 3.773 | 23.6 | 37 |
| 3.630 | 24.5 | 16 |
| 2.668 | 33.6 | 14 |
| 2.616 | 34.3 | 26 |
| 2.267 | 39.8 | 34 |
| 2.204 | 40.9 | 15 |
| 2.150 | 42.0 | 14 |

---

# 2
The following is a simulated powder diffraction line list of KBS4Cl4O12. It was derived from a GGA-PBE-relaxed structure, using Cu Kα (weighted mean of Kα1 and Kα2).
No peak broadening, texture or thermal motion is included.

```
data_KBS4Cl4O12
_chemical_formula_sum 'K4 B4 S16 Cl16 O48'
_symmetry_space_group_name_H-M 'C 1 c 1'
_symmetry_Int_Tables_number 9
_cell_length_a 8.3249
_cell_length_b 20.7828
_cell_length_c 10.9195
_cell_angle_alpha 90.00
_cell_angle_beta 108.45
_cell_angle_gamma 90.00
loop_
_symmetry_equiv_pos_as_xyz
'x,y,z'
'x,-y,z+1/2'
'x+1/2,y+1/2,z'
'x+1/2,-y+1/2,z+1/2'
loop_
_atom_site_label
_atom_site_fract_x
_atom_site_fract_y
_atom_site_fract_z
K1 0.0000 0.0793 0.0000
B1 0.0675 0.3778 0.9074
S1 0.1898 0.3532 0.7088
S2 0.3312 0.0258 0.3501
S3 0.3497 0.4074 0.1077
S4 0.4016 0.2277 0.4547
Cl1 0.0569 0.1461 0.6189
Cl2 0.1664 0.2458 0.3315
Cl3 0.4623 0.0437 0.7914
Cl4 0.4698 0.1724 0.0693
O1 0.1240 0.3979 0.7974
~~~

And oh Yeah ! ........ Thanks for all y'all do !
Crazy Mikey - Lake Oconee / Windy Paradise, GA
What everyone can do now is keep posting our URL everywhere you can. I've been adding it as a comment to many Jet Boat YouTube videos. I have noticed that they are getting pruned/deleted if you embed the URL, but the latest one I put up with jetboaters dot net was still there last time I checked....

So get the word out. Bring a friend! Email/PM anyone who's missing from that other site....etc
After we get these quick fixes out there: flags , t-shirts, coozies,etc. Would it make sense to start a JB.net gift shop? Serious garb and other affiliated goods. Resonable proceeds could run this site as well as fund JB.net gatherings and such.
We've discussed that sort of thing, but the challenge is we don't want the hassle of tax returns, inventory, etc. We want to focus on running the site and keeping people happy and on the water! So we may set up a forum where members can sell forum swag, but it would be informal....
Damn Gov'ment...makes sense. You guys have really thought this out. Impressive.
Thanks for the transparency...I'm available to help in any way, monetarily or with my time. Just let me know.
The active membership and desire to fix what was broken made this dream come true. In the future, the direction of this board will, as it does now, have member input that is actually considered and taken seriously. While a profit could be turned into more improvements or otherwise, the risk of it controlling the board is something all of us would like to avoid. If in the future, it looks like "we"...(that is all of us, not just committee) could create funds to help with whatever it is that we all want to see, it sure can be discussed! But for now, just knowing there is knowledgable help out there is all that is necessary! Keep on posting, and that will help to build this sites library of knowledge into the help it has been elsewhere!
You are right filings for a none profit would be a full time job. I think a sales forum would be the way to go. You guys are doing an awesome job running this site! Keep up the great work....:winkingthumbsup"
Any change in the need for donations? Thanks for the site and the work you put into it.
Speaking of operating costs, I was wondering what the preferences are of the committee as to whether we upload photos to this site, or to use externally hosted photo sites such as photobucket?

The upside of uploading images here is that when someone searches for something five years from now, the images will still be in the thread (especially useful for how-tos, etc) instead of a broken link to a missing image or defunct photobucket account. The downside, of course, is that it's being hosted on the site and that will cost more. Storage isn't free (but is cheap), but bandwidth costs money too.

Hosting images/etc on external hosting sites makes the images "free" for this site, but we risk losing the content in the future.

What do y'all prefer? Upload "important" photos (i.e. how-tos and examples) here, and use photobucket for "fun" stuff?